Jun 30, 2009
Law of the License Plate
The idea for this post came to me this morning driving to work. A truck on the freeway was going dangerously slow in the far left lane, causing other vehicles to swerve as they approached it.
Labels: musings
Jun 26, 2009
Ever since we moved into our house I’ve been lamenting the fact that our neighbors have made little effort to be social. It didn’t help that the week after we moved in, the house next to us and the house across the street were both vacated by renters whose leases were up. I had pretty much given up on making friends in my hood, but as with most things in life, as soon as you stop trying, they happen naturally.
Jim and I took the dogs for a walk yesterday evening, and while we were on our way, we heard an older man call out to us form his front yard, asking for help. He stood in his yard, attempting to reposition a wrought iron fountain taller then himself, and was failing miserably. I took the dogs while Jim jumped in to provide assistance.
Our neighbor, Yaakov, had such a thick Russian accent that it was difficult to distinguish exactly what he wanted done with the fountain, but through sign language and patience, Jim was able to work with him to transport it to its new home.
Yaakov thanked us profusely and continually told us he would pray for us. He insisted on running into his house to get us cans of soda and beer, despite the fact that we declined the offer multiple times.
It was a strange way to meet a neighbor, but imagine my delight that at long last we had made contact with someone in our neighborhood. We were so excited that as we continued home we introduced ourselves to another neighbor down the street.
Bill, a gay, 60-year-old retired school teacher, was thrilled to meet us and tell us about marrying his partner a few months ago in Cape Cod. He didn’t offer us any beverages as Yaakov had, but we were confident we’d made a good impression.
Labels: house
Jun 16, 2009
Sick as a Dog
When we adopted Bruno, he was eight weeks old and completely malnourished and dehydrated. He’d been kept with 30 other dogs in one pen, and I don’t think he got too much face time with the food bowl.
It took a week of vet appointments to get him back to normal, and I’m happy to report that at six months, he’s the picture of perfect health.
We thought we’d avoid another sick pup and go for an older dog when we were ready for a second, but apparently, general malaise is a common theme among pound pups. We adopted Molly two weeks ago and she’s underweight and has a sparse, rough coat.
She’s covered in cuts and scrapes and has a case of kennel cough that makes her sound like an asthmatic chain smoker. We’ve been nursing her back to health with good food and medication, but I’m sure it will be a few more weeks before she’s on top of her game.
The majority of people I know who’ve rescued dogs from shelters have had similar experiences with health problems, and I’ve had several friends tell me this is why they won’t adopt, and will only work with breeders.
While the vet bills are costly, and recovery can be a slow road, I don’t have it in me to shell out an obscene amount of money for a purebred dog, when there are millions of homeless pets available. I understand both sides of the issue, but something tells me I’m a rescuer for life.
Labels: doggies
Another Lesson in Puppy Raising
I sometimes wonder why I bother spending a good portion of my paycheck on new toys for the puppies. No matter what brightly-colored/squeaking/furry/flying toy I am convinced will entertain them, they seem most content chasing and eating birds or chewing tree branches. (And then throwing up on the carpet).
Speaking of birds…over the past few weeks Bruno has been catching birds and bringing them into the house through the doggy door. We can tell when he’s “hunting” by the ear-piercing squawks and clouds of feathers.
We’ve been able to save a few of his victims by distracting him with other treats, but we had our first casualty last weekend.
I guess this just goes to show that certain instinctive behaviors will never be won over by Bobos and Kongs.
Labels: doggies
Jun 7, 2009
Jun 6, 2009
(Unrelated to this piece: materials data)
........
## SmZn (meta-GGA r2SCAN)

Data for crystalline SmZn at its relaxed geometry.

## Properties
Calculated formation energy ... -349 meV per atom
Crystal system ... cubic
Total magnetization ... 0.09 μB/f.u.

a b c (Å): 3.6238 3.6238 3.6238
angles (deg): 90.00 90.00 90.00
With the nearest neighbours (Å) after each atom.
Space group Pm-3m (No. 221)
........
Jun 3, 2009
It's a Doggy Dog World
(Between two parts of the article: records of crystals)
____________
# 1
Li5Cr3FeO8 PBE+U optimized geometry; space group = R-3m (166); raw total energy = -108.52 eV/cell
1.0
2.998 1.731 4.969
-2.998 1.731 4.969
0.000 -3.462 4.969
Li Cr Fe O
5 3 1 8
direct
0.000 0.000 0.500
0.000 0.500 0.000
0.067 0.067 0.067
0.500 0.000 0.000
0.933 0.933 0.933
0.000 0.500 0.500
0.500 0.000 0.500
0.500 0.500 0.000
0.500 0.500 0.500
0.256 0.256 0.724
0.256 0.724 0.256
0.258 0.258 0.258
0.276 0.744 0.744
0.724 0.256 0.256
0.742 0.742 0.742
0.744 0.276 0.744
0.744 0.744 0.276



# 2
MgMn6O10F2 PBE+U optimized geometry; space group = P1 (1); raw total energy = -131.24 eV/cell
1.0
4.998 0.000 0.000
0.922 4.992 0.000
0.221 0.097 8.777
Mg Mn O F
1 6 10 2
direct
0.000 0.000 0.000
0.048 0.499 0.165
0.052 0.507 0.811
0.498 0.961 0.652
0.505 0.953 0.995
0.510 0.964 0.319
0.961 0.423 0.490
0.202 0.268 0.323
0.208 0.281 0.651
0.217 0.284 0.989
0.305 0.810 0.146
0.310 0.824 0.836
0.676 0.106 0.481
0.683 0.105 0.151
0.782 0.632 0.319
0.790 0.639 0.659
0.832 0.673 0.989
0.309 0.795 0.470
0.719 0.134 0.844

=====

[1]
Li5AuO4: optimized geometry, meta-GGA r2SCAN.

Computed properties:
calculated total energy: -10.35 eV per atom

Unit cell a=10.090 b=9.854 c=4.680 alpha=79.28 beta=73.63 gamma=27.11
Positions (direct):
1 Li 0.250 0.250 0.250
2 Li 0.646 0.646 0.354
3 Li 0.354 0.354 0.646
4 Li 0.390 0.391 0.110
5 Li 0.896 0.896 0.604
6 Li 0.110 0.109 0.390
7 Li 0.604 0.604 0.896
8 Li 0.000 0.000 0.000
9 Li 0.860 0.859 0.140
10 Li 0.140 0.141 0.860
11 Au 0.500 0.500 0.500
12 Au 0.750 0.750 0.750
13 O 0.180 0.672 0.824
14 O 0.824 0.324 0.180
15 O 0.426 0.926 0.070
16 O 0.070 0.578 0.426
17 O 0.578 0.070 0.926
18 O 0.926 0.426 0.578
19 O 0.672 0.180 0.324
20 O 0.324 0.824 0.672



[2]
Sr2SiO4: optimized geometry, meta-GGA r2SCAN.

Computed properties:
calculated total energy: -12.29 eV per atom

Unit cell a=7.097 b=5.681 c=11.014 alpha=62.14 beta=90.00 gamma=90.00
Positions (direct):
1 Sr 0.500 0.029 0.197
2 Sr 0.000 0.971 0.303
3 Sr 0.500 0.971 0.803
4 Sr 0.000 0.029 0.697
5 Sr 0.158 0.313 0.923
6 Sr 0.658 0.687 0.577
7 Sr 0.842 0.687 0.077
8 Sr 0.342 0.313 0.423
9 Si 0.721 0.340 0.918
10 Si 0.221 0.660 0.582
11 Si 0.279 0.660 0.082
12 Si 0.779 0.340 0.418
13 O 0.768 0.655 0.822
14 O 0.268 0.345 0.678
15 O 0.232 0.345 0.178
16 O 0.732 0.655 0.322
17 O 0.822 0.156 0.858
18 O 0.322 0.844 0.642
19 O 0.178 0.844 0.142
20 O 0.678 0.156 0.358
21 O 0.819 0.243 0.070
22 O 0.319 0.757 0.430
23 O 0.181 0.757 0.930
24 O 0.681 0.243 0.570
25 O 0.004 0.291 0.430
26 O 0.504 0.709 0.070
27 O 0.996 0.709 0.570
28 O 0.496 0.291 0.930



[3]
BaNa2: optimized geometry, meta-GGA r2SCAN.

Computed properties:
calculated total energy: -11.20 eV per atom

Unit cell a=7.371 b=7.371 c=11.947 alpha=90.00 beta=90.00 gamma=120.00
Positions (direct):
1 Ba 0.333 0.667 0.438
2 Ba 0.667 0.333 0.938
3 Ba 0.667 0.333 0.562
4 Ba 0.333 0.667 0.062
5 Na 0.169 0.338 0.750
6 Na 0.831 0.169 0.250
7 Na 0.338 0.169 0.250
8 Na 0.662 0.831 0.750
9 Na 0.000 0.000 0.000
10 Na 0.000 0.000 0.500
____________
I have to believe that for dogs, going to the dog park is the true equivalent to a child going to Disneyland.
<<<
The following is a DFT calculation (PBE+U) of a relaxed Sr2VMoO6 crystal.

Unit cell a=6.9443 b=6.9443 c=5.6540 alpha=90.06 beta=90.06 gamma=71.04
Fractional coordinates of all 20 atoms:
1 Sr 0.2469 0.7531 0.0000
2 Sr 0.4981 0.9966 0.4951
3 Sr 0.7531 0.2469 0.0000
4 Sr 0.9966 0.4981 0.4951
5 V 0.2487 0.2487 0.9978
6 V 0.7498 0.7498 0.9958
7 Mo 0.4978 0.4978 0.4988
8 Mo 0.9982 0.9982 0.4990
9 O 0.1218 0.1218 0.2501
10 O 0.1251 0.1251 0.7514
11 O 0.2532 0.7443 0.4972
12 O 0.3732 0.3732 0.2440
13 O 0.3773 0.3773 0.7393
14 O 0.5067 0.9869 0.0010
15 O 0.6217 0.6217 0.2542
16 O 0.6247 0.6247 0.7508
17 O 0.7443 0.2532 0.4972
18 O 0.8702 0.8702 0.2476
19 O 0.8716 0.8716 0.7531
20 O 0.9869 0.5067 0.0010

Space group: Cm (8)
Formation energy (kJ per mole of atoms): -264.8
Total magnetic moment (μB/cell): 6.00
Energy above the most stable polymorph in this dataset (meV per atom): 11.1


The following is a DFT calculation (PBE+U) of a relaxed Rb2MoO2F4 crystal.

Unit cell a=7.2045 b=7.9604 c=7.9604 alpha=134.45 beta=90.00 gamma=90.00
Fractional coordinates of all 18 atoms:
1 Rb 0.2500 0.0556 0.9444
2 Rb 0.2500 0.7238 0.2542
3 Rb 0.7500 0.2542 0.7238
4 Rb 0.7500 0.9444 0.0556
5 Mo 0.2500 0.3920 0.6187
6 Mo 0.7500 0.6187 0.3920
7 O 0.0623 0.5702 0.8043
8 O 0.4377 0.5702 0.8043
9 O 0.5623 0.8043 0.5702
10 O 0.9377 0.8043 0.5702
11 F 0.0708 0.1202 0.3607
12 F 0.2500 0.2177 0.7145
13 F 0.2500 0.4771 0.4428
14 F 0.4292 0.1202 0.3607
15 F 0.5708 0.3607 0.1202
16 F 0.7500 0.4428 0.4771
17 F 0.7500 0.7145 0.2177
18 F 0.9292 0.3607 0.1202

Space group: Ama2 (40)
Formation energy (kJ per mole of atoms): -259.9
Total magnetic moment (μB/cell): 0.00
Energy above the most stable polymorph in this dataset (meV per atom): 0.0


The following is a DFT calculation (PBE+U) of a relaxed Ba2NdMoO6 crystal.

Unit cell a=6.1389 b=6.1389 c=6.1389 alpha=120.69 beta=120.69 gamma=88.81
Fractional coordinates of all 10 atoms:
1 Ba 0.2500 0.7500 0.5000
2 Ba 0.7500 0.2500 0.5000
3 Nd 0.0000 0.0000 0.0000
4 Mo 0.5000 0.5000 0.0000
5 O 0.2355 0.3133 0.5488
6 O 0.2663 0.2663 0.0000
7 O 0.3133 0.7645 0.0779
8 O 0.6867 0.2355 0.9221
9 O 0.7337 0.7337 0.0000
10 O 0.7645 0.6867 0.4512

Space group: I4/m (87)
Formation energy (kJ per mole of atoms): -287.8
Total magnetic moment (μB/cell): 1.00


The following is a DFT calculation (PBE+U) of a relaxed Li2MoO4 crystal.

Unit cell a=14.5563 b=14.5563 c=9.7256 alpha=90.00 beta=90.00 gamma=120.00
Fractional coordinates of all 126 atoms:
1 Li 0.0190 0.4727 0.1647
2 Li 0.0249 0.4771 0.8336
3 Li 0.1234 0.3120 0.4975
4 Li 0.1225 0.3134 0.8296
5 Li 0.1414 0.1198 0.0004
6 Li 0.1436 0.1178 0.3300
7 Li 0.1886 0.8766 0.8309
8 Li 0.1909 0.8775 0.1629
9 Li 0.2104 0.6869 0.6624
10 Li 0.2112 0.6842 0.3350
11 Li 0.3131 0.5234 0.3290
12 Li 0.3158 0.5270 0.0016
13 Li 0.3539 0.1452 0.8267
14 Li 0.3580 0.1415 0.4978
15 Li 0.4522 0.9751 0.1669
16 Li 0.4536 0.9810 0.4980
17 Li 0.4730 0.7888 0.6683
18 Li 0.4766 0.7896 0.9957
19 Li 0.5229 0.5478 0.5003
>>>
End of the records of crystals
We’ve only recently begun bringing Bruno to the park, because he had to finish all of his shots first, but he has experienced nothing but pure joy every time. When we first take his leash off he spends about 15 minutes sprinting around the perimeter of the park. He gets so excited he sometimes forgets his brakes and runs full force into the flank of another dog. Fortunately, his puppy-ness seems to be a plausible excuse for his less-than-perfect manners, because he’s yet to have received so much as a growl.
Once he’s gotten his initial ya-ya’s out, he then enjoys stealing toys that other people brought to use with their dogs. Yeah, he’s that kid, but his intentions are innocent, he simply wants to keep the games going as long as possible. We don’t have a prayer of catching him until he’s been there for at least 30-40 minutes and is starting to fatigue. At that point, we try to tackle him to give him water, otherwise he is too excited to rehydrate on his own accord. It’s like stopping for a pit crew; after some water and petting he’s off again at lightening speed.
The dog park labels the two separate enclosed areas “Active Dogs” and “Passive Dogs.” This is just a polite way of saying “Spazzy Dogs” and “Wimpy Dogs.” I assume you understand that we will never go near that passive nonsense, we come with our A-game to party hardy.
It’s fun to do something for another being that makes them the happiest they’ve ever been. Since dogs lack significant short term memory capabilities, every day that we take Bruno to the park is therefore the best day of his life.
Labels: doggies
Ew Yuck Gross
Labels: adventures, house